Why Nationalism, by Yael Tamir

Many people probably associate nationalism with aggressive and reactionary xenophobia. This is not what nationalism needs to be. In her book Why Nationalism, Yael Tamir offers an analysis of the rise of our contemporary populist nationalism and argues that liberals ”must learn to harness nationalism to their cause” (p. 182).

In Tamir’s analysis, the ”hyperglobalism” of the last decades has benefited a well-educated urban elite, leaving the rest of the Western world’s population vulnerable to social and economic forces that are beyond their control. This has caused the vulnerable to reevaluate their risks and opportunities and led them to assume that putting their nation first will serve their interests.

Calculated crystals, as found in the file >
=====
Crystalline Hf3TaIn at its relaxed geometry, computed with PBE.

```
Hf3TaIn
1.0
-0.518 -1.318 4.900
-4.291 -2.516 -1.130
2.709 -4.237 -0.854
In Hf Ta
1 3 1
Direct
0.500 0.500 0.500 In
0.000 0.500 0.000 Hf
0.000 0.000 0.500 Hf
0.500 0.000 0.000 Hf
0.000 0.000 0.000 Ta
```

Computed properties:
- SG = No. 221
=====

Populists have exploited this development. They offer the vulnerable a xenophobic and reactionary nationalism building from ethnic and cultural homogeneity, targeting pluralism.

Tamir suggests that the time is ripe for ”a new kind of nationalism that is rational and well calculated” (p. 126). The normative details are vague, but she offers a guiding account of the history and nature of nationalism that is useful for independent analyses.

On this account, nationalism is necessary. ”Democratic regimes require a pre-political partnership that turns citizens into a collective entity that has a common past and a common future” (p. 6). But nationalism is also a resource. It is a system of interpretation that allows us ”to understand the world and choose a way of life” (p. 45).

This optimism is historically well-grounded. Nationalism first appeared as a political force during the French revolution. It was then not directed outwards against external threats, but inwards against the privileged; nationalism was an alternative to feudalism, offering political rights to the many instead of the few.

Nationalism minimized the differences between high and low cultures and brought the classes closer together (pp. 85–6). The modern nation-state ”invited individuals to partake in the political, ethical, and cultural sphere” (p. 29).

The development toward nations and nation states was not ”natural,” but often a controlled process of construction. For instance, nations such as France, Italy, and Germany were originally divided both linguistically and culturally, and had to be actively constructed. The United States of America begun their nation-building process after the revolution, not before. Tamir argues that nations not only can, but must continuously be made and remade (p. 52).

The belief is common that nationalism is always backward-looking, but this is not the case. Tamir argues that nationalism was originally progressive, not conservative or reactionary. At the beginning of the 20th century ”the only historically justifiable nationalism was that which fitted with progress that ‘enlarged rather than restricted the scale on which human economies, societies and cultures operated'” (p. 27). Nationalism is thus ”integral to modernity and progress; it was born in the bosom of the industrial society” (ibid).

What is the nature of nationalism? Nations are ”mental structures existing in the minds of their members” (p. 58). Nationalism ”molds our culinary preferences; shapes our architecture and decor; orchestrates the soundtrack of our lives; and fashions what we wear, how we talk, and what we dream about” (p. 72). By offering common reference points it links the past, present, and future, substantially influencing behavior (p. 39). Nations are both real and imagined.

Tamir argues that nationalism need not be a dormant evil force, but can be a constructive power (p. 5). It ”allows individuals to expand their self to the collective sphere, thus endowing their life with meaning and allowing them to feel as active authors of their lives” (p. 55). The real power of nationalism ”is grounded in its ability to promote processes of modernization and industrialization that go hand in hand with the universalization of education, information, and technology” (p. 28). This power, Tamir argues, should be harnessed.

(Data records from another source follow)
Entry 1:
Ba2HoCo2O6: relaxed, PBE with a Hubbard U.

spin magnetization	7.00	μB/f.u.
final energy	-6.507	eV/atom
space-group type	No. 166

Cell lengths 6.076, 6.076, 6.653 Å; angles 62.83, 62.83, 60.00 degrees
Each line ends with the local moment (μB).
Positions (direct):
Co1 0.436 0.436 0.692  2.70
Co2 0.564 0.564 0.308  2.70
O1 0.759 0.248 0.745  0.21
O2 0.752 0.752 0.255  0.21
O3 0.248 0.759 0.745  0.21
O4 0.241 0.752 0.255  0.21
O5 0.248 0.248 0.745  0.21
O6 0.752 0.241 0.255  0.21
Ba1 0.781 0.781 0.658  0.00
Ba2 0.219 0.219 0.342  0.00
Ho1 0.000 0.000 0.000  0.12

***

Entry 2:
Ba3HoCo2O6: relaxed, PBE with a Hubbard U.

spin magnetization	5.00	μB/f.u.
final energy	-6.262	eV/atom
space-group type	No. 164

Cell lengths 6.169, 6.169, 6.953 Å; angles 90.00, 90.00, 120.00 degrees
Each line ends with the local moment (μB).
Positions (direct):
Ho1 0.000 0.000 0.500  0.05
O1 0.834 0.166 0.697  0.09
O2 0.331 0.166 0.697  0.09
O3 0.669 0.834 0.303  0.09
O4 0.166 0.834 0.303  0.09
O5 0.166 0.331 0.303  0.09
O6 0.834 0.669 0.697  0.09
Ba1 0.333 0.667 0.661  -0.03
Ba2 0.667 0.333 0.339  -0.03
Ba3 0.000 0.000 0.000  -0.02
Co1 0.333 0.667 0.222  2.31
Co2 0.667 0.333 0.778  2.31

***

Entry 3:
BaHo2CoO5: relaxed, PBE with a Hubbard U.

ΔE to the lowest computed polymorph	0.00	kJ/mol of atoms
spin magnetization	3.00	μB/f.u.
final energy	-7.366	eV/atom
space-group type	No. 62

Cell lengths 5.740, 7.106, 12.330 Å; angles 90.00, 90.00, 90.00 degrees
Each line ends with the local moment (μB).
Positions (direct):
O1 0.250 0.076 0.102  0.07
O2 0.999 0.139 0.725  0.05
O3 0.003 0.665 0.066  0.05
O4 0.750 0.576 0.398  0.07
O5 0.497 0.665 0.066  0.05
O6 0.001 0.861 0.275  0.05
O7 0.999 0.361 0.225  0.05
O8 0.750 0.924 0.898  0.07
O9 0.997 0.335 0.934  0.05
O10 0.499 0.861 0.275  0.05
O11 0.501 0.361 0.225  0.05
O12 0.997 0.165 0.434  0.05
O13 0.503 0.335 0.934  0.05
O14 0.499 0.639 0.775  0.05
O15 0.250 0.424 0.602  0.07
O16 0.001 0.639 0.775  0.05
O17 0.003 0.835 0.566  0.05
O18 0.501 0.139 0.725  0.05
O19 0.503 0.165 0.434  0.05
O20 0.497 0.835 0.566  0.05
Ho1 0.250 0.381 0.791  -0.01
Ho2 0.750 0.881 0.709  -0.01
Ho3 0.750 0.599 0.926  0.05
Ho4 0.750 0.619 0.209  -0.01
Ho5 0.250 0.119 0.291  -0.01
Ho6 0.250 0.401 0.074  0.05
Ho7 0.750 0.901 0.426  0.05
Ho8 0.250 0.099 0.574  0.05
Co1 0.750 0.193 0.848  2.63
Co2 0.250 0.807 0.152  2.63
Co3 0.250 0.693 0.652  2.63
Co4 0.750 0.307 0.348  2.63
Ba1 0.250 0.921 0.900  0.00
Ba2 0.750 0.079 0.100  0.00
Ba3 0.750 0.421 0.600  0.00
Ba4 0.250 0.579 0.400  0.00

* * * * *

# 1
# GGA-PBEsol B2SeS, optimized geometry
# - ΔE to the lowest computed polymorph: 0.0 meV/atom
# - Raw formation energy: 519 meV per atom
# - Volume: 12.2 A^3/atom
data_B2SeS
_chemical_formula_sum 'B8 Se4 S4'
_symmetry_space_group_name_H-M 'I -4 2 d'
_symmetry_Int_Tables_number 122
_symmetry_space_group_name_Hall 'I -4 2bw'
_cell_length_a 5.184
_cell_length_b 5.184
_cell_length_c 7.260
_cell_angle_alpha 90.00
_cell_angle_beta 90.00
_cell_angle_gamma 90.00
(The data records stop here)

Instead of fighting the human tendency to gather in groups we should join forces to combat social inequality and injustice (p. 51). Four moves must be taken ”to tame the new nationalism and make it more liberal and tolerant” (pp. 178–180):

  1. The demand to put one’s country first should not be grounded in a sense of superiority but in a belief that others have the same right (and duty) to pursue their goals.
  2. As no country is culturally, ethnically, or religiously homogeneous, the place of minorities must be secured.
  3. The desire to reduce animosity and allow the different social classes and national groups to live together despite inevitable tensions demands that all citizens feel they are fairly treated.
  4. It is important to revive a sense of social and political optimism and collective pride that allows individuals and societies to envision a better future.

Tamir’s book is well-argued (I have here ignored a number of straw men and other problems that are of lesser importance for a complete picture of it). She is probably right that some form of nationalism is unavoidable, at least given a realistic political outlook.

However, I am skeptical to her view on globalization. Sure, the elite, if society is understood in terms of ”the elite” and ”the masses,” has gained much from it. But globalization has also benefited the masses; they share the fruits of global economic growth and enjoy the opportunities that come with rights to freedom of movement. Perhaps we should reform social and economic institutions to better protect the vulnerable instead of creating more restrictive nations.

Moreover, if we would engage more actively in nation-building, there is a risk that the nations built will be the elite’s; tolerant, pluralist, and progressive. Perhaps nation-building, not globalization, will create the rift between the elite and the masses that Tamir wants to curtail.

Nonetheless, I think of Tamir’s book as a valuable contribution to the political and ideological debate. Many of us need to reconsider our views on nationalism. Most importantly, we have to learn how to harness its power instead of fighting it. Or someone else will.

Update 2019-11-20: In a new working paper, economists Andreas Bergh and Anders Gustafsson study the connection between globalization and populism. The results challenge Tamir’s argument:

Using data on vote share for 267 right-wing and left-wing populist parties in 33 European countries 1980–2016 […] we find no evidence of a positive association between economic globalization and populism. In many cases, the partial correlation is significantly negative.

Tamir, Y. (2019). Why Nationalism. Princeton University Press.